Source
........
No. 1
The following is a DFT calculation (PBE) of crystalline FeRe2Os at its relaxed geometry.

- Energy above the most stable polymorph in this dataset: 61 meV per atom
- DFT formation energy: 0.081 eV/atom
- Crystal system: tetragonal
- Mass density: 18450 kg/m3
- Calculated total energy: -11.07 eV per atom
- Size of the total moment: 1.1 μB per cell
- SG: I-4m2, No. 119

Lattice parameters (Å, degrees): 4.6574 4.6574 4.6574 131.39 131.39 71.19
Fractional positions:
Fe  0.0000  0.0000  0.0000
Re  0.5000  0.5000  0.0000
Re  0.7500  0.2500  0.5000
Os  0.2500  0.7500  0.5000

=====

No. 2
The following is a DFT calculation (PBE) of crystalline FeReOs2 at its relaxed geometry.

- Energy above the most stable polymorph in this dataset: 361 meV per atom
- DFT formation energy: 0.457 eV/atom
- Crystal system: orthorhombic
- Mass density: 18027 kg/m3
- Calculated total energy: -10.39 eV per atom
- Size of the total moment: 2.8 μB per cell
- SG: Cmm2, No. 35

Lattice parameters (Å, degrees): 2.6666 2.6666 8.9773 90.00 90.00 116.07
Fractional positions:
Fe  0.0000  0.0000  0.0000
Re  0.5000  0.5000  0.2434
Os  0.0000  0.0000  0.4983
Os  0.5000  0.5000  0.7588

=====

No. 3
The following is a DFT calculation (PBE) of crystalline FeReOs2 at its relaxed geometry.

- Energy above the most stable polymorph in this dataset: 217 meV per atom
- DFT formation energy: 0.313 eV/atom
- Crystal system: orthorhombic
- Mass density: 18427 kg/m3
- Calculated total energy: -10.53 eV per atom
- Size of the total moment: 2.8 μB per cell
- SG: Imm2, No. 44

Lattice parameters (Å, degrees): 5.1599 5.1599 5.1599 147.43 130.03 60.92
Fractional positions:
Fe  0.0000  0.0000  0.0000
Re  0.7727  0.2727  0.5000
Os  0.2277  0.7277  0.5000
Os  0.5010  0.5010  0.0000

=====

No. 4
The following is a DFT calculation (PBE) of crystalline FeReOs2 at its relaxed geometry.

- Energy above the most stable polymorph in this dataset: 3 meV per atom
- DFT formation energy: 0.099 eV/atom
- Crystal system: tetragonal
- Mass density: 18835 kg/m3
- Calculated total energy: -10.74 eV per atom
- Size of the total moment: 0.9 μB per cell
- SG: P4/mmm, No. 123

Lattice parameters (Å, degrees): 3.8086 3.8086 3.7837 90.00 90.00 90.00
Fractional positions:
Fe  0.0000  0.0000  0.0000
Re  0.5000  0.5000  0.0000
Os  0.0000  0.5000  0.5000
Os  0.5000  0.0000  0.5000

=====

No. 5
The following is a DFT calculation (PBE) of crystalline FeReOs2 at its relaxed geometry.

- Energy above the most stable polymorph in this dataset: 10 meV per atom
- DFT formation energy: 0.105 eV/atom
- Crystal system: tetragonal
- Mass density: 18909 kg/m3
- Calculated total energy: -10.74 eV per atom
- Size of the total moment: 0.4 μB per cell
- SG: I-4m2, No. 119

Lattice parameters (Å, degrees): 4.6412 4.6412 4.6412 131.65 131.65 70.78
Fractional positions:
Fe  0.0000  0.0000  0.0000
Re  0.7500  0.2500  0.5000
Os  0.2500  0.7500  0.5000
Os  0.5000  0.5000  0.0000

=====

No. 6
The following is a DFT calculation (PBE) of crystalline FeReOs at its relaxed geometry.

- Energy above the most stable polymorph in this dataset: 287 meV per atom
- DFT formation energy: 0.361 eV/atom
- Crystal system: orthorhombic
- Mass density: 16903 kg/m3
- Calculated total energy: -10.35 eV per atom
- Size of the total moment: 3.0 μB per cell
- SG: Fmm2, No. 42

Lattice parameters (Å, degrees): 6.9281 6.7195 2.6592 83.21 74.38 22.40
Fractional positions:
Fe  0.0000  0.0000  0.0000
Re  0.3371  0.3371  0.6629
Os  0.6641  0.6641  0.3359

=====

No. 7
The following is a DFT calculation (PBE) of crystalline FeReOs2 at its relaxed geometry.

- Energy above the most stable polymorph in this dataset: 17 meV per atom
- DFT formation energy: 0.112 eV/atom
- Crystal system: orthorhombic
- Mass density: 18840 kg/m3
- Calculated total energy: -10.73 eV per atom
- Size of the total moment: 0.9 μB per cell
- SG: Pmm2, No. 25

Lattice parameters (Å, degrees): 2.7013 3.7742 5.3816 90.00 90.00 90.00
Fractional positions:
........
Activity
Return the data above unchanged, please.
Result
No. 1
The following is a DFT calculation (PBE) of crystalline FeRe2Os at its relaxed geometry.

- Energy above the most stable polymorph in this dataset: 61 meV per atom
- DFT formation energy: 0.081 eV/atom
- Crystal system: tetragonal
- Mass density: 18450 kg/m3
- Calculated total energy: -11.07 eV per atom
- Size of the total moment: 1.1 μB per cell
- SG: I-4m2, No. 119

Lattice parameters (Å, degrees): 4.6574 4.6574 4.6574 131.39 131.39 71.19
Fractional positions:
Fe  0.0000  0.0000  0.0000
Re  0.5000  0.5000  0.0000
Re  0.7500  0.2500  0.5000
Os  0.2500  0.7500  0.5000

=====

No. 2
The following is a DFT calculation (PBE) of crystalline FeReOs2 at its relaxed geometry.

- Energy above the most stable polymorph in this dataset: 361 meV per atom
- DFT formation energy: 0.457 eV/atom
- Crystal system: orthorhombic
- Mass density: 18027 kg/m3
- Calculated total energy: -10.39 eV per atom
- Size of the total moment: 2.8 μB per cell
- SG: Cmm2, No. 35

Lattice parameters (Å, degrees): 2.6666 2.6666 8.9773 90.00 90.00 116.07
Fractional positions:
Fe  0.0000  0.0000  0.0000
Re  0.5000  0.5000  0.2434
Os  0.0000  0.0000  0.4983
Os  0.5000  0.5000  0.7588

=====

No. 3
The following is a DFT calculation (PBE) of crystalline FeReOs2 at its relaxed geometry.

- Energy above the most stable polymorph in this dataset: 217 meV per atom
- DFT formation energy: 0.313 eV/atom
- Crystal system: orthorhombic
- Mass density: 18427 kg/m3
- Calculated total energy: -10.53 eV per atom
- Size of the total moment: 2.8 μB per cell
- SG: Imm2, No. 44

Lattice parameters (Å, degrees): 5.1599 5.1599 5.1599 147.43 130.03 60.92
Fractional positions:
Fe  0.0000  0.0000  0.0000
Re  0.7727  0.2727  0.5000
Os  0.2277  0.7277  0.5000
Os  0.5010  0.5010  0.0000

=====

No. 4
The following is a DFT calculation (PBE) of crystalline FeReOs2 at its relaxed geometry.

- Energy above the most stable polymorph in this dataset: 3 meV per atom
- DFT formation energy: 0.099 eV/atom
- Crystal system: tetragonal
- Mass density: 18835 kg/m3
- Calculated total energy: -10.74 eV per atom
- Size of the total moment: 0.9 μB per cell
- SG: P4/mmm, No. 123

Lattice parameters (Å, degrees): 3.8086 3.8086 3.7837 90.00 90.00 90.00
Fractional positions:
Fe  0.0000  0.0000  0.0000
Re  0.5000  0.5000  0.0000
Os  0.0000  0.5000  0.5000
Os  0.5000  0.0000  0.5000

=====

No. 5
The following is a DFT calculation (PBE) of crystalline FeReOs2 at its relaxed geometry.

- Energy above the most stable polymorph in this dataset: 10 meV per atom
- DFT formation energy: 0.105 eV/atom
- Crystal system: tetragonal
- Mass density: 18909 kg/m3
- Calculated total energy: -10.74 eV per atom
- Size of the total moment: 0.4 μB per cell
- SG: I-4m2, No. 119

Lattice parameters (Å, degrees): 4.6412 4.6412 4.6412 131.65 131.65 70.78
Fractional positions:
Fe  0.0000  0.0000  0.0000
Re  0.7500  0.2500  0.5000
Os  0.2500  0.7500  0.5000
Os  0.5000  0.5000  0.0000

=====

No. 6
The following is a DFT calculation (PBE) of crystalline FeReOs at its relaxed geometry.

- Energy above the most stable polymorph in this dataset: 287 meV per atom
- DFT formation energy: 0.361 eV/atom
- Crystal system: orthorhombic
- Mass density: 16903 kg/m3
- Calculated total energy: -10.35 eV per atom
- Size of the total moment: 3.0 μB per cell
- SG: Fmm2, No. 42

Lattice parameters (Å, degrees): 6.9281 6.7195 2.6592 83.21 74.38 22.40
Fractional positions:
Fe  0.0000  0.0000  0.0000
Re  0.3371  0.3371  0.6629
Os  0.6641  0.6641  0.3359

=====

No. 7
The following is a DFT calculation (PBE) of crystalline FeReOs2 at its relaxed geometry.

- Energy above the most stable polymorph in this dataset: 17 meV per atom
- DFT formation energy: 0.112 eV/atom
- Crystal system: orthorhombic
- Mass density: 18840 kg/m3
- Calculated total energy: -10.73 eV per atom
- Size of the total moment: 0.9 μB per cell
- SG: Pmm2, No. 25

Lattice parameters (Å, degrees): 2.7013 3.7742 5.3816 90.00 90.00 90.00
Fractional positions: